Content Strategy: A New Approach To Lead Generation For 2015

Content Strategy: A New Approach To Lead Generation For 2015

The techniques of lead generation have changed in the last few years. Along with internet access, it is the dependence on online research to get knowledge for purchase making decisions. Previously, in any field, there was a bit of leeway to “strong arm” the buyer with data, to influence his decision. However, with both statistics and opinions available online, buyers can today do most of the homework, even before talking to a seller.

Therefore, the ‘information as leverage’ approach is slowly receding in areas where online content about a purchase decision is easily available. What buyers care about most when they talk to sellers is the price. Clearly, the internet is the new marketplace, and the salespeople are simply providers of the best costing, a trend that is only going to get more pronounced. This means that leads need to be generated much before a buyer reaches you. And the best way to do that in 2015 is to create targeted content. Reputed digital agencies like are known for its contemporary approach to a content strategy that facilitates online lead generation.

This is not “brand content” in the traditional sense, which may focus on direct product endorsement. Buyers can see through the advertising, and they do not like it. That doesn’t meant they won’t tolerate it – they even expect it. However, you need to build a case for them to trust you, and generate consistent interest in what you have to tell them.

== These records of crystals were left in the article by mistake ==
=====
Here is a relaxed structure of AlTl2Fe from the Alexandria database. Energies are from GGA-PBEsol.

abc: 4.100 4.100 5.455
angles: 112.07 112.07 90.00
Site moments in Bohr magnetons follow the coordinates.
Element x y z (fractional)
Fe  0.250  0.750  0.500  2.76
Al  0.500  0.500  0.000  0.01
Tl  0.750  0.250  0.500  0.01
Tl  0.000  0.000  0.000  0.01

Results
For the total energy, the calculation gives -4.05 eV/atom. Its space group is I-4m2. The value obtained for the formation energy is 51 kJ per mole of atoms. The value obtained for the density of states at the Fermi level is 2.05 states/eV/cell.

~~~~~

## w
A relaxed La5Y2Tm crystal. Source: the Alexandria database, functional GGA-PBE.

total magnetic moment	0.000	μB/atom
space-group type	C2/c
crystal system	monoclinic

abc: 13.988 13.988 6.452
angles: 91.83 91.83 153.46
Fractional coordinates of all 16 atoms:
La: 0.112 0.478 0.989
La: 0.127 0.873 0.750
La: 0.166 0.358 0.685
La: 0.358 0.166 0.185
La: 0.478 0.112 0.489
La: 0.522 0.888 0.511
La: 0.642 0.834 0.815
La: 0.834 0.642 0.315
La: 0.873 0.127 0.250
La: 0.888 0.522 0.011
Y: 0.000 0.000 0.000
Y: 0.000 0.000 0.500
Y: 0.000 0.500 0.500
Y: 0.500 0.000 0.000
Tm: 0.460 0.540 0.250
Tm: 0.540 0.460 0.750


## x
A relaxed La5Y2Tm crystal. Source: the Alexandria database, functional GGA-PBE.

total magnetic moment	0.000	μB/atom
space-group type	Cmcm
crystal system	orthorhombic

abc: 6.712 6.712 16.516
angles: 90.00 90.00 129.75
Fractional coordinates of all 16 atoms:
La: 0.029 0.971 0.750
La: 0.112 0.888 0.053
La: 0.112 0.888 0.447
La: 0.421 0.579 0.093
La: 0.421 0.579 0.407
La: 0.579 0.421 0.593
La: 0.579 0.421 0.907
La: 0.888 0.112 0.553
La: 0.888 0.112 0.947
La: 0.971 0.029 0.250
Y: 0.275 0.725 0.636
Y: 0.275 0.725 0.864
Y: 0.725 0.275 0.136
Y: 0.725 0.275 0.364
Tm: 0.251 0.749 0.250
Tm: 0.749 0.251 0.750


Referenced to the most stable arrangement, the calculated values in kJ/mol of atoms are w 10.2; x 0.0.
=====

An Insight About Buyer Behavior – it is not a Linear Path

There’s no straight line between a buyer’s intent to buy something, his research, and his final purchase. It can often be a maze of sudden last minute decision changes, based on new information and opinion changes.

On the internet, this translates to many unique Google searches for different keywords, with different intent. From searching about prices (current price, anticipated price drops, and browsing prices in different regions and on different websites), to comparisons, there’s a lot that a lead generation content strategy needs to account for. At every step of this journey, the seller must provide content, successfully,

But there are three core areas a seller’s lead generation strategy needs to respond to.


This stage is about capturing the buyer’s interest at a stage when he’s trying to learn more about the product. He may simply be looking for how to resolve a problem (your product serving as the solution), or considering investing in your product. At this moment, he’s trying to get information about different solutions, brands, and approaches. This means he’s going to look everywhere – from videos and web pages, to eBooks and research reports and media coverage.


After identifying what he’s looking for, the buyer is now hunting for various product options.


After considering different product, he’s now looking to make a final product decision. At this stage, he’s going through product endorsements, case studies, trials, demos, product analysis.

Clearly, these three stages offer ample opportunity to create content that brings a potential back to you, once you provide reliable, trustworthy content. For their successful web marketing services and premium content offerings, Sydney sellers have established trust in Think Big Online.